Makerere University Freshers Enrollment, Registration, and Change of Programmes/Subjects

By | February 7, 2022

To All Freshers

For a candidate to be considered a bonafide student of the University, he/she must be registered.
Registration is a mandatory requirement of the University which must be done within the first two (2) weeks from the beginning of the semester by every student. Privately sponsored students will pick their original admission letters after payment of 60% tuition and all functional fees from their respective colleges.
Registration programmes will be issued by the respective Colleges/ Schools.

Ensure that you complete all the required registration formalities within the prescribed time in order to avoid disappointments later.
Registration Requirements
Admission to Makerere University is a provisional offer made on the basis of the statement
of your qualifications as presented on your application form. The offer is subject to verification of your academic documents and payment of university fees.

For registration purposes, all first year students MUST produce their original documents.
Government sponsored students shall pay Shs.181, 850/= functional fees to Makerere University.
The fees structure for privately sponsored students is attached to the provisional admission letters.

Procedure for Student Registration on ACMIS

=====
Starting from a GGA-PBE-relaxed structure, the XRD peak list of NaCaMgSn was simulated for Cu Kα.
Neutral-atom scattering factors, no anomalous dispersion.

The 10 most intense peaks (15 to 90 degrees two-theta), by angle:
d 4.348, intensity 48
d 3.766, intensity 15
d 2.663, intensity 100
d 2.271, intensity 27
d 1.883, intensity 18
d 1.728, intensity 12
d 1.537, intensity 36
d 1.331, intensity 11
d 1.273, intensity 10
d 1.191, intensity 16

a = 7.532 Å, b = 7.532 Å, c = 7.532 Å
α = 90.00°, β = 90.00°, γ = 90.00°
Space group F-43m (No. 216)
Inequivalent atoms, fractional coordinates:
Na  0.000  0.000  0.000 [4 per cell]
Ca  0.250  0.250  0.250 [4 per cell]
Mg  0.250  0.250  0.750 [4 per cell]
Sn  0.000  0.000  0.500 [4 per cell]
=====

1. Activate you student portal account and enroll
a.) Access the Student Portal via

b.) Log in using your student number printed on your admission letter as your username
and password. The system will prompt you to enter your student number again and
request for a reset token (This will be sent to your phone or your Registrar can
generate token for you)
c.) Use the token and set your own password (It could be as simple as your telephone
number or student number)
d.) Login into your account using student number as username and the password you
have set in (c) above
e. )Then Enrollment by selecting the appropriate enrollment options;

Fresher (My First Semester) for all NEW STUDENTS

f. Select Study year and then click enroll

a. For Registration, visit your school or college Registrar for document verification.
b. Only after the Registrar has verified your documents, will you be able to register.
c. You are required to pay 100% Functional fees and at least 60% Tuition for you to be
able to register
d. During registration, select the Course unit from the pool course units on the left
following the timetabled course units and click add course to the list of courses you
are to register for. Finally click the register button at the lower right
a. After enrollment two invoices will be generated. One for functional fees and one for
tuition fees.
b. Click on generate PRN to get PRN for payment of invoices in the Bank
c. Pay all the necessary fees per the fees policy (as issued by University Bursar’s office)
before registration.
d. Students admitted to affiliated institutions must pay all Tuition fees to their
Institutions and functional fees payable to Makerere University should be paid
directly to Makerere University.
(a) Change of Programme
Since selection for specific programmes was made according to each candidate’s
performance and order of programme choices, taking into account the available
subject combinations and time-table limitations, there is normally little need to
change the programme or subjects. However, some places become vacant when
some of the students admitted do not take up the offers. Such places are filled
through the change of programme.
(b) Change of Subjects
Students in the College of Humanities and Social Sciences, Natural Sciences or the
College of Education and External Studies may wish to change their subjects.

Students should be aware that changing one subject may result in a change of College. Before students apply to change their programmes, Colleges and Subjects, they are encouraged to seek advice on the cut-off point(s) for programmes, requirements for specific subjects and possible subject combinations.
(c) User Guide for Change of Programmes/Subject Combinations
Step l. Login into your student portal, then click on the services link
Step 2.Click on ‘Apply for Services’
Step 4.1n the change of programme form, select your current programme, new programme you wish to apply for study year study time, campus, academic year and optimally, then reason for changing. Click on ‘Submit application’.
Step 5. To generate a PRN to pay for the change of programme/subjects on the pending application history interface, click ‘Generate payment reference. Use the generated PRN to make payment of Shs.6000 and bank charge for the change of programme/subjects application.
The closing date for change of prgrammes/subjects will be Friday 18th February, 2022.

Alfred Masikye Namoah